If you do any kind of research towards finding a web hosting service for your website, one of the first things you will realise is that there are dozens of web hosting companies. Whilst having a choice is better than having none at all, it is not without its problems. The major problem is paring down the multiple options and choosing a single web hosting service that is going to be reliable.
Some might ask what difference it makes when choosing a web hosting company and our answer to that would be that it makes a huge defence. Unreliable web hosting not only compromises your website’s performance, but it can also seriously damage your ranking on Google too. In case you need more convincing here are 10 benefits of choosing a tried and trusted web host, rather than one at random.
/*
[1]
The following is a theoretical XRD peak list of MgTe2Mo2WSe2S2. It was derived from a crystal structure in the Materials Project, relaxed with PBE, using Cu Ka.

Main lines, in order of falling intensity (2θ from 10° to 90°):
- 40.73°, I 100
- 39.17°, I 77
- 34.04°, I 62
- 54.84°, I 54
- 30.83°, I 54
- 35.13°, I 52
- 11.72°, I 49
- 37.71°, I 48
- 32.29°, I 45
- 44.12°, I 35

a b c (Å): 3.3485 3.3485 37.7688
angles (deg): 90.00 90.00 120.00
Fractional coordinates of all 10 atoms:
Mg 0.0000 0.0000 0.0000
Te 0.6667 0.3333 0.0864
Te 0.6667 0.3333 0.1876
Mo 0.3333 0.6667 0.6669
Mo 0.6667 0.3333 0.8903
W 0.3333 0.6667 0.1372
Se 0.6667 0.3333 0.6228
Se 0.6667 0.3333 0.7110
S 0.3333 0.6667 0.8504
S 0.3333 0.6667 0.9311

---

[2]
The following is a theoretical XRD peak list of TiPd. It was derived from a crystal structure in the Materials Project, relaxed with PBE, using Cu Ka.

Main lines, in order of falling intensity (2θ from 10° to 90°):
- 42.03°, I 100
- 39.27°, I 35
- 41.69°, I 26
- 26.58°, I 24
- 36.56°, I 24
- 73.08°, I 18
- 54.74°, I 14
- 79.64°, I 13
- 66.06°, I 11
- 36.94°, I 11

a b c (Å): 4.5881 2.8009 4.9154
angles (deg): 90.00 90.00 90.00
Fractional coordinates of all 4 atoms:
Ti 0.2500 0.0000 0.2021
Ti 0.7500 0.0000 0.7979
Pd 0.2500 0.5000 0.6869
Pd 0.7500 0.5000 0.3131

---

[3]
The following is a theoretical XRD peak list of Nb4B20Mo11. It was derived from a crystal structure in the Materials Project, relaxed with PBE, using Cu Ka.

Main lines, in order of falling intensity (2θ from 10° to 90°):
- 34.71°, I 100
- 42.54°, I 95
- 42.88°, I 64
- 28.55°, I 53
- 38.59°, I 31
- 68.11°, I 27
- 68.91°, I 26
- 76.15°, I 23
- 67.35°, I 18
- 57.46°, I 17

a b c (Å): 35.0640 35.0640 35.0640
angles (deg): 174.93 174.76 7.30
Fractional coordinates of all 35 atoms:
Nb 0.1000 0.1000 0.0000
Nb 0.3000 0.3000 0.0000
Nb 0.7000 0.7000 0.0000
Nb 0.9000 0.9000 0.0000
B 0.0129 0.0129 0.0000
B 0.0270 0.5270 0.5000
B 0.1730 0.6730 0.5000
B 0.1868 0.1868 0.0000
B 0.2132 0.2132 0.0000
B 0.2270 0.7270 0.5000
B 0.3730 0.8730 0.5000
B 0.3868 0.3868 0.0000
B 0.4133 0.4133 0.0000
B 0.4271 0.9271 0.5000
B 0.5729 0.0729 0.5000
B 0.5867 0.5867 0.0000
B 0.6132 0.6132 0.0000
B 0.6270 0.1270 0.5000
B 0.7730 0.2730 0.5000
B 0.7868 0.7868 0.0000
B 0.8132 0.8132 0.0000
B 0.8270 0.3270 0.5000
B 0.9730 0.4730 0.5000
B 0.9871 0.9871 0.0000
Mo 0.0628 0.5628 0.5000
Mo 0.1371 0.6371 0.5000
Mo 0.2629 0.7629 0.5000
Mo 0.3371 0.8371 0.5000
Mo 0.4635 0.9635 0.5000
Mo 0.5000 0.5000 0.0000
Mo 0.5365 0.0365 0.5000
Mo 0.6629 0.1629 0.5000
Mo 0.7371 0.2371 0.5000
Mo 0.8629 0.3629 0.5000
Mo 0.9372 0.4372 0.5000

---

[4]
The following is a theoretical XRD peak list of NaGaSe2O6. It was derived from a crystal structure in the Materials Project, relaxed with PBE, using Cu Ka.

Main lines, in order of falling intensity (2θ from 10° to 90°):
- 31.26°, I 100
- 29.05°, I 67
- 26.42°, I 63
- 32.73°, I 55
- 33.16°, I 41
- 21.60°, I 34
- 38.44°, I 31
- 13.12°, I 30
- 21.07°, I 28
- 64.89°, I 21
*/
-- Here the entry continues --
Multiple Hosting Plan Options: The better a web host is the more likely it is that they will offer a range of hosting plans and options rather than just one or two. This means you will have access to advanced hosting plans that include cloud hosting or a dedicated server, for example.
Faster Website Load Times: Fast load times are essential for enhancing the experience of those who visit your website, and it is also a factor in them not clicking away immediately. Load time also impacts rankings on Google as they penalise websites that load slowly.
Less Downtime: There is little point in having an awesome website if someone tries to visit it and gets an error message because the site is down. Reliable web hosts have the absolute minimum of downtime with uptime percentages around 99.99%.
Unlimited Bandwidth: With unlimited bandwidth, you will have no concerns about your website going offline should you have a spike in traffic which often happens when a business runs a promotion, or its Google rankings increase significantly.
Unlimited Storage Space: If your website is going to consist of larger files such as graphics and video, then having unlimited disc space means they can all be stored. This is also important if you have plans to significantly expand the size and functionality of your website.
Inserted here: data records >
/*
Calculated X-ray powder pattern of Al5GaFe6 for Cu Kα (weighted mean of Kα1 and Kα2), from a crystal structure in Alexandria, relaxed with PBE.
Kinematic intensities with the Lorentz-polarization factor, no thermal factor.

Most intense lines, 2θ from 5° to 70°, by angle:
2θ 14.51, d 6.104, rel. 2
2θ 15.42, d 5.748, rel. 2
2θ 21.23, d 4.185, rel. 2
2θ 23.03, d 3.861, rel. 2
2θ 27.84, d 3.205, rel. 2
2θ 31.09, d 2.876, rel. 10
2θ 34.87, d 2.573, rel. 1
2θ 44.55, d 2.034, rel. 100
2θ 55.32, d 1.661, rel. 2
2θ 64.83, d 1.438, rel. 15

Structural model:
Cell lengths 6.435, 6.435, 5.748 Å; angles 90.00, 90.00, 143.13 degrees
Fractional positions:
Al1 0.000 0.000 0.000
Al2 0.330 0.670 0.500
Al3 0.332 0.668 0.000
Al4 0.668 0.332 0.000
Al5 0.670 0.330 0.500
Ga1 0.000 0.000 0.500
Fe1 0.164 0.836 0.250
Fe2 0.164 0.836 0.750
Fe3 0.500 0.500 0.252
Fe4 0.500 0.500 0.748
Fe5 0.836 0.164 0.250
Fe6 0.836 0.164 0.750

----------

Computed powder diffraction line list
Compound: ScV2HO6
Radiation: Cu Kα (weighted mean of Kα1 and Kα2)
Structure: a structure optimized by DFT (PBE+U)
Kinematic intensities with the Lorentz-polarization factor, no thermal factor.

Atomic structure:
Lattice parameters (Å, degrees): 5.414 6.357 7.498 81.98 83.43 85.42
Space group P-1 (No. 2)
Unique sites:
Sc 0.242 0.390 0.082
V 0.240 0.435 0.600
V 0.299 0.831 0.249
H 0.478 0.767 0.631
O 0.093 0.462 0.840
O 0.104 0.687 0.434
O 0.172 0.079 0.181
O 0.395 0.693 0.059
O 0.424 0.145 0.668
O 0.453 0.382 0.351

Largest 10 diffraction maxima, sorted by position, 2θ = 10–90°:
two_theta, I/Imax, (hkl)
14.10, 100, 0 1 0
17.29, 39, 0 1 1
19.40, 20, 1 0 1
21.46, 21, 1 0 -1
22.42, 24, 1 1 1
26.34, 53, 0 1 2
30.80, 31, 1 0 -2
32.07, 39, 1 2 0
33.34, 51, 1 -1 2
36.86, 22, 1 -2 1

----------

Theoretical powder X-ray diffraction pattern
Compound: NaPuClO2
Radiation: Cu Kα (weighted mean of Kα1 and Kα2)
Structure: DFT lattice parameters and positions (PBE)
Neutral-atom scattering factors, no anomalous dispersion.

a = 7.2437 Å, b = 3.4331 Å, c = 7.5901 Å
α = 90.00°, β = 104.09°, γ = 90.00°
Element x y z (fractional)
Na (0.1684, 0.2500, 0.2194)
Na (0.8316, 0.7500, 0.7806)
Pu (0.3289, 0.2500, 0.8287)
Pu (0.6711, 0.7500, 0.1713)
Cl (0.2456, 0.7500, 0.4963)
Cl (0.7544, 0.2500, 0.5037)
O (0.1627, 0.7500, 0.8793)
O (0.4610, 0.2500, 0.1295)
O (0.5390, 0.7500, 0.8705)
O (0.8373, 0.2500, 0.1207)

Peak list (10 most intense, 2θ from 10° to 90°, sorted by position)
- 2θ 12.02, d = 7.362 Å, I 35, hkl 0 0 1
- 2θ 12.60, d = 7.026 Å, I 34, hkl 1 0 0
- 2θ 15.16, d = 5.842 Å, I 100, hkl 1 0 -1
- 2θ 25.33, d = 3.517 Å, I 33, hkl 2 0 0
- 2θ 28.69, d = 3.111 Å, I 22, hkl 0 1 1
- 2θ 28.95, d = 3.085 Å, I 29, hkl 1 1 0
- 2θ 30.03, d = 2.976 Å, I 21, hkl 1 0 2
- 2θ 32.65, d = 2.742 Å, I 36, hkl 1 1 1
- 2θ 35.93, d = 2.499 Å, I 34, hkl 1 1 -2
- 2θ 36.59, d = 2.456 Å, I 63, hkl 0 0 3

----------

Record 1
*/
The data records stop here >
Increased Levels Of Security: With data protection being an ever-increasing concern online, knowing that your web files and any data submitted to that website are extremely secure will reassure you, and more importantly, reassure your website’s visitors.
Calculated powder XRD pattern
Compound: NaAc4Te6
Radiation: Cu Kα X-rays
Structure: a structure optimized by DFT (GGA-PBE)
No peak broadening, texture or thermal motion is included.

The 10 most intense peaks (2θ from 15° to 90°), low angle first:
- 19.29 deg, I = 29
- 23.61 deg, I = 67
- 27.56 deg, I = 40
- 28.99 deg, I = 100
- 30.82 deg, I = 48
- 32.24 deg, I = 86
- 34.09 deg, I = 27
- 36.39 deg, I = 44
- 41.62 deg, I = 30
- 58.22 deg, I = 38

```
data_NaAc4Te6
_chemical_formula_sum 'Na2 Ac8 Te12'
_cell_length_a 9.201
_cell_length_b 9.201
_cell_length_c 9.201
_cell_angle_alpha 90.56
_cell_angle_beta 90.56
_cell_angle_gamma 90.56
_space_group_name_H-M_alt 'P 1'
_space_group_IT_number 1
loop_
_space_group_symop_operation_xyz
'x,y,z'
loop_
_atom_site_label
_atom_site_fract_x
_atom_site_fract_y
_atom_site_fract_z
Na1 0.000 0.000 0.000
Na2 0.500 0.500 0.500
Ac1 0.140 0.750 0.360
Ac2 0.250 0.250 0.250
Ac3 0.250 0.640 0.860
Ac4 0.360 0.140 0.750
Ac5 0.640 0.860 0.250
Ac6 0.750 0.360 0.140
Ac7 0.750 0.750 0.750
Ac8 0.860 0.250 0.640
Te1 0.061 0.919 0.681
Te2 0.081 0.319 0.939
Te3 0.181 0.419 0.561
Te4 0.319 0.939 0.081
Te5 0.419 0.561 0.181
Te6 0.439 0.819 0.581
Te7 0.561 0.181 0.419
Te8 0.581 0.439 0.819
Te9 0.681 0.061 0.919
Te10 0.819 0.581 0.439
Te11 0.919 0.681 0.061
Te12 0.939 0.081 0.319
```

=====

Calculated powder XRD pattern
Compound: NaAc4Te5
Radiation: Cu Kα X-rays
Structure: a structure optimized by DFT (GGA-PBE)
No peak broadening, texture or thermal motion is included.

The 10 most intense peaks (2θ from 15° to 90°), low angle first:
- 26.67 deg, I = 100
- 37.98 deg, I = 40
- 38.16 deg, I = 39
- 47.01 deg, I = 22
- 54.93 deg, I = 14
- 61.96 deg, I = 19
- 62.21 deg, I = 19
- 68.73 deg, I = 14
- 87.33 deg, I = 8
- 87.55 deg, I = 8

```
data_NaAc4Te5
_chemical_formula_sum 'Na1 Ac4 Te5'
_cell_length_a 19.407
_cell_length_b 19.407
_cell_length_c 19.407
_cell_angle_alpha 14.02
_cell_angle_beta 14.02
_cell_angle_gamma 14.02
_space_group_name_H-M_alt 'P 1'
_space_group_IT_number 1
loop_
_space_group_symop_operation_xyz
'x,y,z'
loop_
_atom_site_label
_atom_site_fract_x
_atom_site_fract_y
_atom_site_fract_z
Na1 0.000 0.000 0.000
Ac1 0.200 0.200 0.200
Ac2 0.399 0.399 0.399
Ac3 0.601 0.601 0.601
Ac4 0.800 0.800 0.800
Te1 0.099 0.099 0.099
Te2 0.300 0.300 0.300
Te3 0.500 0.500 0.500
Te4 0.700 0.700 0.700
Te5 0.901 0.901 0.901
```

=====

Calculated powder XRD pattern
Compound: NaAc6Te8
Radiation: Cu Kα X-rays
Structure: a structure optimized by DFT (GGA-PBE)
No peak broadening, texture or thermal motion is included.

The 10 most intense peaks (2θ from 15° to 90°), low angle first:
- 18.82 deg, I = 14
- 26.74 deg, I = 100
- 29.96 deg, I = 9
- 38.17 deg, I = 79
- 47.22 deg, I = 29
- 55.09 deg, I = 14
- 62.27 deg, I = 38
- 69.00 deg, I = 28
- 81.69 deg, I = 9
- 87.84 deg, I = 19

```
data_NaAc6Te8
_chemical_formula_sum 'Na1 Ac6 Te8'
_cell_length_a 9.430
_cell_length_b 9.430
_cell_length_c 9.430
_cell_angle_alpha 60.00
_cell_angle_beta 60.00
Increased Functionality Options: Every business’s website needs are different, and this is why those web hosts which provide a significant range of additional functions and applications as part of their hosting packages, give website owners a huge advantage.
Website And Data Backups: Some web hosts back up their data every month, which is fine, but the very best hosting services back up data daily and some even do it several times a day. This ensures that there is no chance of you ever ‘losing’ your website and its data.
Improved Website Data: Being able to assess your website’s data allows you to make adjustments and improvements and this is why those web hosts with the most compresence website performance data are preferable to those that offer little or none.
Effective Support When You Need It: Finally, we have what we consider the most important aspect of a web hosting service and that is the support they offer its customers. The best web hosting companies provide superb technical and customer service which is why they are so popular.